The Togo-based television channel New World TV, holder of the exclusive broadcasting rights of the World Cup in French-speaking Africa, has set up a brand strategy to reach its target. The aim is to become the African sports channel.
By Lilia Ayari
Emmanuel Adebayor, Patrick Mboma, Basile Boli or Wilfried Mbappé, Kylian’s father… So many guests for a launch that is intended to be with great fanfare in Paris on November 4.
It is a fact, New World TV, the Togo-based television channel with pan-African ambitions, has not skimped on budget for the launch of its special World Cup campaign. That’s understandable, the channel has been awarded, and this is a feat worthy of the greatest, the exclusive rights to broadcast the next World soccer Cup in the French-speaking Africa. And to invite as such some of the biggest names. They are fully part of the journey. As consultants, but especially as ambassadors of a TV channel made by Africans, for Africans.
• Someone pasted materials data at this point:
[1]
Li3VC3O9: theoretical powder XRD pattern (Cu Kα), based on DFT lattice parameters and positions (PBE+U).
Lines closer than 0.1° are merged.

Unit cell a=10.224 b=9.367 c=7.436 alpha=90.00 beta=90.00 gamma=90.00
Space group Ama2 (No. 40)
Inequivalent atoms, fractional coordinates:
1 Li 0.000 0.000 0.000 [4 per cell]
2 Li 0.250 0.020 0.272 [4 per cell]
3 Li 0.250 0.278 0.341 [4 per cell]
4 V 0.250 0.215 0.792 [4 per cell]
5 C 0.016 0.293 0.761 [8 per cell]
6 C 0.250 0.483 0.120 [4 per cell]
7 O 0.053 0.178 0.849 [8 per cell]
8 O 0.101 0.167 0.245 [8 per cell]
9 O 0.115 0.362 0.686 [8 per cell]
10 O 0.250 0.110 0.547 [4 per cell]
11 O 0.250 0.369 0.029 [4 per cell]
12 O 0.250 0.485 0.298 [4 per cell]

Largest 8 diffraction maxima, by angle, 2θ = 10–80°:
- hkl 2 0 0, 2θ = 17.3°, d = 5.112 Å, rel. 28
- hkl 1 1 1, 2θ = 17.5°, d = 5.060 Å, rel. 100
- hkl 0 2 0, 2θ = 18.9°, d = 4.684 Å, rel. 45
- hkl 2 1 1, 2θ = 23.2°, d = 3.842 Å, rel. 61
- hkl 0 0 2, 2θ = 23.9°, d = 3.718 Å, rel. 68
- hkl 0 2 2, 2θ = 30.7°, d = 2.912 Å, rel. 36
- hkl 4 1 1, 2θ = 38.5°, d = 2.340 Å, rel. 22
- hkl 2 4 2, 2θ = 49.3°, d = 1.848 Å, rel. 15

[2]
CaMo4O9: theoretical powder XRD pattern (Cu Kα), based on DFT lattice parameters and positions (PBE+U).
Lines closer than 0.1° are merged.

Unit cell a=8.804 b=8.804 c=5.079 alpha=90.00 beta=90.00 gamma=90.00
Space group P4/n (No. 85, origin choice 2)
Inequivalent atoms, fractional coordinates:
1 Ca 0.250 0.250 0.198 [2 per cell]
2 Mo 0.046 0.853 0.328 [8 per cell]
3 O 0.006 0.205 0.001 [8 per cell]
4 O 0.047 0.360 0.502 [8 per cell]
5 O 0.250 0.750 0.500 [2 per cell]

Largest 8 diffraction maxima, by angle, 2θ = 10–80°:
- hkl 0 0 1, 2θ = 17.5°, d = 5.079 Å, rel. 20
- hkl 1 2 1, 2θ = 28.7°, d = 3.112 Å, rel. 100
- hkl 3 1 0, 2θ = 32.2°, d = 2.784 Å, rel. 37
- hkl 1 2 2, 2θ = 42.4°, d = 2.134 Å, rel. 22
- hkl 2 4 0, 2θ = 46.1°, d = 1.969 Å, rel. 24
- hkl 3 1 2, 2θ = 48.5°, d = 1.876 Å, rel. 12
- hkl 5 0 1, 2θ = 55.2°, d = 1.664 Å, rel. 29
- hkl 3 1 3, 2θ = 64.4°, d = 1.447 Å, rel. 26

[3]
TiFe2Ni3P6O24: theoretical powder XRD pattern (Cu Kα), based on DFT lattice parameters and positions (PBE+U).
Lines closer than 0.1° are merged.

Unit cell a=8.6544 b=8.6544 c=20.3268 alpha=90.00 beta=90.00 gamma=120.00
Space group R3 (No. 146, hexagonal axes)
Inequivalent atoms, fractional coordinates:
1 Ti 0.0000 0.0000 0.0000 [3 per cell]
2 Fe 0.0000 0.0000 0.1493 [3 per cell]
3 Fe 0.0000 0.0000 0.6482 [3 per cell]
4 Ni 0.0000 0.0000 0.2918 [3 per cell]
5 Ni 0.0000 0.0000 0.5047 [3 per cell]
6 Ni 0.0000 0.0000 0.7901 [3 per cell]
7 P 0.9996 0.2995 0.8960 [9 per cell]
8 P 0.0011 0.6999 0.3969 [9 per cell]
9 O 0.0037 0.8325 0.0734 [9 per cell]
10 O 0.0133 0.1820 0.5802 [9 per cell]
11 O 0.0128 0.8007 0.4599 [9 per cell]
12 O 0.0232 0.1993 0.9556 [9 per cell]
13 O 0.1414 0.6828 0.0034 [9 per cell]
14 O 0.1418 0.4499 0.5008 [9 per cell]
15 O 0.1619 0.6690 0.3845 [9 per cell]
16 O 0.1650 0.4883 0.8857 [9 per cell]
“As there was no TV set at home, I watched my first World Cup through the neighbor’s window”
Here the text breaks off for materials data:
/*
Starting from DFT lattice parameters and positions (GGA-PBE), the X-ray powder pattern of PuNbOs was simulated for Cu Kα (λ = 1.5418 Å).
Intensities are scaled so that the largest is 100.

Crystal structure
```
data_PuNbOs
_symmetry_space_group_name_H-M 'P 1'
_symmetry_Int_Tables_number 1
_cell_length_a 3.168
_cell_length_b 3.168
_cell_length_c 11.494
_cell_angle_alpha 90.00
_cell_angle_beta 90.00
_cell_angle_gamma 90.00
loop_
_symmetry_equiv_pos_as_xyz
'x,y,z'
loop_
_atom_site_label
_atom_site_type_symbol
_atom_site_fract_x
_atom_site_fract_y
_atom_site_fract_z
Pu1 Pu 0.000 0.000 0.000
Pu2 Pu 0.500 0.500 0.500
Nb1 Nb 0.000 0.000 0.307
Nb2 Nb 0.500 0.500 0.807
Os1 Os 0.000 0.000 0.679
Os2 Os 0.500 0.500 0.179
```

The 6 most intense peaks (2θ from 15° to 90°), low angle first:
(hkl)	2θ/deg	d (Å)	Rel. int.
1 0 1	29.24	3.054	14.7
1 0 3	36.81	2.441	100.0
1 1 0	40.26	2.240	41.8
2 0 0	58.25	1.584	14.4
1 1 6	63.91	1.457	25.0
2 1 3	70.92	1.329	30.1

----------

No. 1
Nd2Sm2C2IBr2Cl2: computed X-ray powder pattern (a wavelength of 1.5418 Å), based on a crystal structure in OQMD, relaxed with GGA-PBE.
Kinematic intensities with the Lorentz-polarization factor, no thermal factor.

Principal peaks in the range 2θ from 10° to 80°, by angle:
2θ 10.8, 8.211 Å, I = 27
2θ 16.3, 5.432 Å, I = 25
2θ 27.7, 3.224 Å, I = 43
2θ 29.3, 3.048 Å, I = 68
2θ 30.6, 2.917 Å, I = 37
2θ 31.0, 2.883 Å, I = 100
2θ 42.5, 2.126 Å, I = 38
2θ 43.9, 2.064 Å, I = 39
2θ 46.3, 1.960 Å, I = 22
2θ 55.8, 1.648 Å, I = 22

```
data_Nd2Sm2C2IBr2Cl2
_cell_length_a 18.974
_cell_length_b 3.919
_cell_length_c 8.518
_cell_angle_alpha 90.00
_cell_angle_beta 105.45
_cell_angle_gamma 90.00
_space_group_name_H-M_alt 'C 1 2/m 1'
_space_group_IT_number 12
loop_
_space_group_symop_operation_xyz
'x,y,z'
'-x,-y,-z'
'-x,y,-z'
'x,-y,z'
'x+1/2,y+1/2,z'
'-x+1/2,-y+1/2,-z'
'-x+1/2,y+1/2,-z'
'x+1/2,-y+1/2,z'
loop_
_atom_site_label
_atom_site_fract_x
_atom_site_fract_y
_atom_site_fract_z
Nd1 0.161 0.000 0.099
Sm1 0.001 0.500 0.809
C1 0.038 0.000 0.023
I1 0.000 0.000 0.500
Br1 0.163 0.500 0.360
Cl1 0.168 0.500 0.854
```

=====

No. 2
Pr4CIBr2Cl2: computed X-ray powder pattern (a wavelength of 1.5418 Å), based on a crystal structure in OQMD, relaxed with GGA-PBE.
Kinematic intensities with the Lorentz-polarization factor, no thermal factor.

Principal peaks in the range 2θ from 10° to 80°, by angle:
2θ 10.3, 8.590 Å, I = 40
2θ 27.3, 3.266 Å, I = 11
2θ 30.0, 2.979 Å, I = 100
2θ 33.2, 2.695 Å, I = 14
2θ 37.9, 2.375 Å, I = 18
2θ 40.7, 2.215 Å, I = 9
2θ 42.9, 2.108 Å, I = 16
2θ 43.0, 2.103 Å, I = 17
2θ 45.0, 2.016 Å, I = 11
2θ 55.0, 1.669 Å, I = 10

```
data_Pr4CIBr2Cl2
_cell_length_a 18.403
_cell_length_b 4.032
_cell_length_c 8.859
_cell_angle_alpha 90.00
_cell_angle_beta 104.14
_cell_angle_gamma 90.00
_space_group_name_H-M_alt 'C 1 2/m 1'
_space_group_IT_number 12
loop_
_space_group_symop_operation_xyz
'x,y,z'
'-x,-y,-z'
'-x,y,-z'
'x,-y,z'
'x+1/2,y+1/2,z'
'-x+1/2,-y+1/2,-z'
'-x+1/2,y+1/2,-z'
'x+1/2,-y+1/2,z'
loop_
*/
« I grew up in a neighborhood of Lomé. As a kid, I already dreamed of being a footballer. As there was no TV set at home, I watched my first World Cup through the neighbor’s window. The only person in the neighborhood who had a TV, » says Togo’s Emmanuel Adebayor. Today we have a Togolese channel, we are very proud. »
More than 500 hours of airtime, 64 live matches, 28 are free-to-air

For now, soccer is celebrated. The channel will from November 20 to December 18 dedicate more than 500 hours of airtime to broadcasting World Cup matches (64 live matches, of which 28 will be free-to-air), not to mention programs and reports on the event. But the channel is above all dedicated to African sport. And to all sports, stressed Mr. Louis Biyao, legal counsel of New World TV. « Seven years ago, we, Africans in the diaspora, observed that quality television had become a luxury for Africans. We contacted some people including Basile Boli, and FIFA who trusted us. Today, we are there. The revolution of the African audiovisual landscape is underway with New World TV. Our objective is to democratize and offer a wide audience access to the best content.
Suitable price and a broadcast in local language
The channel has focused on two requirements to adapt to the continent: to bring prices into line, about 4 euros per subscription, and to broadcast in local languages. Strategically, the channel has partnered with telecom operators. African smartphone users are the target. « There are 150 million subscribers in Africa. According to estimates, 50 to 60 million smartphones. That’s the audience we’re targeting on the World Cup. » The kickoff will be on November 20.